Request >
The reader should give back the rows further below word for word.

Excerpt >
=====
Model one:
A gas-phase ion, C4H11N3 (charge -1), computed with ωB97M-V/def2-TZVPD.

Each atom is followed by the atoms it is bonded to, with distances in Å.
Cartesian coordinates (Å):
1 C -1.4802 -0.8563 0.6422  C2 1.473, N7 1.459, H8 1.115, H9 1.119
2 C -0.5026 -0.8391 -0.4595  C1 1.473, C3 1.605, H10 1.115, H11 1.091
3 C -0.0652 0.6166 -0.9761  C2 1.605, N6 1.474, H12 1.143, H13 1.123
4 N 2.6941 0.1795 -0.2957  C5 1.469, H14 1.046, H15 0.993
5 C 1.7764 1.0027 0.5034  N4 1.469, N6 1.294, H16 1.069
6 N 0.6440 1.4193 0.0363  C3 1.474, C5 1.294
7 N -2.4860 0.1991 0.5757  C1 1.459, H17 1.003, H18 1.006
8 H -1.9784 -1.8309 0.8533  C1 1.115
9 H -0.8815 -0.6847 1.5713  C1 1.119
10 H -0.8318 -1.4693 -1.3184  C2 1.115
11 H 0.4502 -1.3282 -0.2529  C2 1.091
12 H 0.6882 0.2618 -1.7595  C3 1.143
13 H -0.9200 1.2010 -1.4106  C3 1.123
14 H 2.5605 0.1095 -1.3303  N4 1.046
15 H 3.5993 -0.1350 -0.0339  N4 0.993
16 H 2.1353 1.1932 1.4918  C5 1.069
17 H -3.2485 -0.0869 1.1619  N7 1.003
18 H -2.1537 1.0476 1.0008  N7 1.006

Properties
Spin multiplicity   2
HOMO-LUMO gap (alpha / beta)   2.7 / 8.3 eV
Net charge   -1
LUMO (alpha / beta)   3.9 / 3.7 eV
HOMO energy (alpha / beta)   1.23 / -4.56 eV



Model two:
A gas-phase ion, C4H11N3 (charge -1), computed with ωB97M-V/def2-TZVPD.

Each atom is followed by the atoms it is bonded to, with distances in Å.
Cartesian coordinates (Å):
1 C -1.1251 -0.1986 -2.5191  C2 1.575, H8 1.146, H9 1.093, H10 1.186
2 C -0.0343 -0.8064 -1.5590  C1 1.575, C3 1.455, H11 1.209, H12 1.173
3 C 0.3303 0.0750 -0.4606  C2 1.455, N4 1.548, H13 1.156, H14 1.228
4 N 0.3355 -0.5569 0.9524  C3 1.548, C5 1.520, H15 1.060
5 C 0.4322 0.3243 2.1869  N4 1.520, N6 1.324, N7 1.265
6 N 1.1734 1.4199 2.1322  C5 1.324, H16 1.028, H17 1.027
7 N -0.1581 -0.1115 3.2172  C5 1.265, H18 1.032
8 H -1.8553 0.3714 -1.8450  C1 1.146
9 H -0.4941 0.5782 -2.9580  C1 1.093
10 H -1.8645 -0.8105 -3.2162  C1 1.186
11 H -0.4399 -1.7951 -0.9941  C2 1.209
12 H 0.8256 -1.1188 -2.2922  C2 1.173
13 H -0.5324 0.8360 -0.5703  C3 1.156
14 H 1.4042 0.5987 -0.7445  C3 1.228
15 H -0.5496 -1.1135 1.1261  N4 1.060
16 H 1.2363 1.9644 3.0015  N6 1.028
17 H 1.9952 1.3232 1.5242  N6 1.027
18 H -0.6794 -0.9798 3.0184  N7 1.032

Properties
Spin multiplicity   2
HOMO-LUMO gap (alpha / beta)   2.8 / 9.3 eV
Net charge   -1
LUMO (alpha / beta)   4.1 / 4.1 eV
HOMO energy (alpha / beta)   1.24 / -5.24 eV



Most stable: model one



Model one:
A gas-phase ion, C6H14N3 (charge +1), computed with ωB97M-V/def2-TZVPD.

Each atom is followed by the atoms it is bonded to, with distances in Å.
Cartesian coordinates (Å):
1 C -0.2787 -0.7733 -1.4178  C2 1.459, N7 1.428, H10 1.024, H11 1.074
2 C -0.7021 -1.5248 -0.2408  C1 1.459, C4 1.475, N9 1.456
3 C 0.6405 0.8502 0.2048  C5 1.580, C6 1.554, N7 1.436, N8 1.497
4 C -2.1513 -1.7312 -0.0579  C2 1.475, H12 1.083, H13 1.047, H14 1.188
5 C -0.2892 2.1229 0.3113  C3 1.580, H15 1.165, H16 1.099, H17 1.039
6 C 2.1032 1.2670 0.5222  C3 1.554, H18 1.172, H19 1.105, H20 1.060
7 N 0.7873 0.0780 -0.9968  C1 1.428, C3 1.436, H21 0.947
8 N 0.0922 -0.1052 1.2181  C3 1.497, N9 1.388
9 N 0.2460 -1.4373 0.8611  C2 1.456, N8 1.388, H22 0.995, H23 1.092
10 H 0.0012 -1.4454 -2.1379  C1 1.024
11 H -1.1346 -0.2041 -1.7297  C1 1.074
12 H -2.4324 -2.3287 0.8000  C4 1.083
13 H -2.6100 -2.0178 -0.9545  C4 1.047
14 H -2.4806 -0.7121 0.4567  C4 1.188
15 H -1.3842 1.7258 0.3129  C5 1.165
16 H -0.0813 2.7725 -0.5503  C5 1.099
17 H -0.0438 2.6148 1.1927  C5 1.039
18 H 2.7925 0.3516 0.7667  C6 1.172
19 H 2.1158 2.0920 1.2566  C6 1.105
20 H 2.5368 1.6405 -0.3702  C6 1.060
21 H 1.1520 0.5136 -1.7546  N7 0.947
22 H -0.1375 -1.9439 1.6268  N9 0.995
23 H 1.2582 -1.8052 0.6804  N9 1.092

Properties
HOMO-LUMO gap (alpha / beta)   8.5 / 7.4 eV
Net charge   +1
LUMO (alpha / beta)   -4.8 / -5.4 eV
HOMO energy (alpha / beta)   -13.33 / -12.80 eV



Model two:
A gas-phase ion, C6H14N3 (charge +1), computed with ωB97M-V/def2-TZVPD.
=====

Result >
Model one:
A gas-phase ion, C4H11N3 (charge -1), computed with ωB97M-V/def2-TZVPD.

Each atom is followed by the atoms it is bonded to, with distances in Å.
Cartesian coordinates (Å):
1 C -1.4802 -0.8563 0.6422  C2 1.473, N7 1.459, H8 1.115, H9 1.119
2 C -0.5026 -0.8391 -0.4595  C1 1.473, C3 1.605, H10 1.115, H11 1.091
3 C -0.0652 0.6166 -0.9761  C2 1.605, N6 1.474, H12 1.143, H13 1.123
4 N 2.6941 0.1795 -0.2957  C5 1.469, H14 1.046, H15 0.993
5 C 1.7764 1.0027 0.5034  N4 1.469, N6 1.294, H16 1.069
6 N 0.6440 1.4193 0.0363  C3 1.474, C5 1.294
7 N -2.4860 0.1991 0.5757  C1 1.459, H17 1.003, H18 1.006
8 H -1.9784 -1.8309 0.8533  C1 1.115
9 H -0.8815 -0.6847 1.5713  C1 1.119
10 H -0.8318 -1.4693 -1.3184  C2 1.115
11 H 0.4502 -1.3282 -0.2529  C2 1.091
12 H 0.6882 0.2618 -1.7595  C3 1.143
13 H -0.9200 1.2010 -1.4106  C3 1.123
14 H 2.5605 0.1095 -1.3303  N4 1.046
15 H 3.5993 -0.1350 -0.0339  N4 0.993
16 H 2.1353 1.1932 1.4918  C5 1.069
17 H -3.2485 -0.0869 1.1619  N7 1.003
18 H -2.1537 1.0476 1.0008  N7 1.006

Properties
Spin multiplicity   2
HOMO-LUMO gap (alpha / beta)   2.7 / 8.3 eV
Net charge   -1
LUMO (alpha / beta)   3.9 / 3.7 eV
HOMO energy (alpha / beta)   1.23 / -4.56 eV



Model two:
A gas-phase ion, C4H11N3 (charge -1), computed with ωB97M-V/def2-TZVPD.

Each atom is followed by the atoms it is bonded to, with distances in Å.
Cartesian coordinates (Å):
1 C -1.1251 -0.1986 -2.5191  C2 1.575, H8 1.146, H9 1.093, H10 1.186
2 C -0.0343 -0.8064 -1.5590  C1 1.575, C3 1.455, H11 1.209, H12 1.173
3 C 0.3303 0.0750 -0.4606  C2 1.455, N4 1.548, H13 1.156, H14 1.228
4 N 0.3355 -0.5569 0.9524  C3 1.548, C5 1.520, H15 1.060
5 C 0.4322 0.3243 2.1869  N4 1.520, N6 1.324, N7 1.265
6 N 1.1734 1.4199 2.1322  C5 1.324, H16 1.028, H17 1.027
7 N -0.1581 -0.1115 3.2172  C5 1.265, H18 1.032
8 H -1.8553 0.3714 -1.8450  C1 1.146
9 H -0.4941 0.5782 -2.9580  C1 1.093
10 H -1.8645 -0.8105 -3.2162  C1 1.186
11 H -0.4399 -1.7951 -0.9941  C2 1.209
12 H 0.8256 -1.1188 -2.2922  C2 1.173
13 H -0.5324 0.8360 -0.5703  C3 1.156
14 H 1.4042 0.5987 -0.7445  C3 1.228
15 H -0.5496 -1.1135 1.1261  N4 1.060
16 H 1.2363 1.9644 3.0015  N6 1.028
17 H 1.9952 1.3232 1.5242  N6 1.027
18 H -0.6794 -0.9798 3.0184  N7 1.032

Properties
Spin multiplicity   2
HOMO-LUMO gap (alpha / beta)   2.8 / 9.3 eV
Net charge   -1
LUMO (alpha / beta)   4.1 / 4.1 eV
HOMO energy (alpha / beta)   1.24 / -5.24 eV



Most stable: model one



Model one:
A gas-phase ion, C6H14N3 (charge +1), computed with ωB97M-V/def2-TZVPD.

Each atom is followed by the atoms it is bonded to, with distances in Å.
Cartesian coordinates (Å):
1 C -0.2787 -0.7733 -1.4178  C2 1.459, N7 1.428, H10 1.024, H11 1.074
2 C -0.7021 -1.5248 -0.2408  C1 1.459, C4 1.475, N9 1.456
3 C 0.6405 0.8502 0.2048  C5 1.580, C6 1.554, N7 1.436, N8 1.497
4 C -2.1513 -1.7312 -0.0579  C2 1.475, H12 1.083, H13 1.047, H14 1.188
5 C -0.2892 2.1229 0.3113  C3 1.580, H15 1.165, H16 1.099, H17 1.039
6 C 2.1032 1.2670 0.5222  C3 1.554, H18 1.172, H19 1.105, H20 1.060
7 N 0.7873 0.0780 -0.9968  C1 1.428, C3 1.436, H21 0.947
8 N 0.0922 -0.1052 1.2181  C3 1.497, N9 1.388
9 N 0.2460 -1.4373 0.8611  C2 1.456, N8 1.388, H22 0.995, H23 1.092
10 H 0.0012 -1.4454 -2.1379  C1 1.024
11 H -1.1346 -0.2041 -1.7297  C1 1.074
12 H -2.4324 -2.3287 0.8000  C4 1.083
13 H -2.6100 -2.0178 -0.9545  C4 1.047
14 H -2.4806 -0.7121 0.4567  C4 1.188
15 H -1.3842 1.7258 0.3129  C5 1.165
16 H -0.0813 2.7725 -0.5503  C5 1.099
17 H -0.0438 2.6148 1.1927  C5 1.039
18 H 2.7925 0.3516 0.7667  C6 1.172
19 H 2.1158 2.0920 1.2566  C6 1.105
20 H 2.5368 1.6405 -0.3702  C6 1.060
21 H 1.1520 0.5136 -1.7546  N7 0.947
22 H -0.1375 -1.9439 1.6268  N9 0.995
23 H 1.2582 -1.8052 0.6804  N9 1.092

Properties
HOMO-LUMO gap (alpha / beta)   8.5 / 7.4 eV
Net charge   +1
LUMO (alpha / beta)   -4.8 / -5.4 eV
HOMO energy (alpha / beta)   -13.33 / -12.80 eV



Model two:
A gas-phase ion, C6H14N3 (charge +1), computed with ωB97M-V/def2-TZVPD.